Two good friends of mine are halfway through a rebuild of their home. They knocked their house down, moved into a rental unit and are awaiting the completion of their new home. They have talked about this project for years and it has taken a lot of time and effort to get to this stage.

We had an interesting conversation last time I caught up with them. It seems that they are seriously considering selling the house, paying off their mortgage and trying to find another place to buy that requires less debt. The fact that debt is involved in this project should not come as a surprise. Just buying a house in Sydney is expensive. Knocking that house down and rebuilding another one adds to the debt burden.

This whole conversation caused me to think about debt and a question I have received numerous times following a series I wrote on housing last year. New homebuyers find themselves forced to take on ever increasingly levels of debt to afford a home. This is of course a voluntary decision. You don’t have to buy a house and I have chosen to rent. However, many people don’t believe it is a choice given societal expectations and the desire to have a stable place to raise a family.

What is unequivocally a voluntary decision is to take on additional debt to pursue a strategy to improve your financial situation. And that is the question I keep receiving. Is there merit in debt recycling?

There are four considerations for someone considering a debt recycling strategey:

  1. What is debt? Can it ever be good?
  2. Should you care about your net worth?
  3. What return makes debt recycling worthwhile?
  4. Are you giving up the main advantage of your primary residence?


I will share my personal views on each of these considerations but first a definition of debt recycling is in order.

What is debt recycling?

Debt recycling is taking equity in your home and borrowing against it to invest in other assets. Examples of other assets include shares or an investment property.

The prerequisite to debt recycling is having equity built up in a primary residence. This can occur after a mortgage has been partially repaid or if a property has appreciated in value. The idea is to tap that equity by taking out an investment loan. The proceeds from that loan can be invested in an investment property or in another type of investment.

How are loan proceeds invested?

For an investment property the loan would be used as a down payment and a mortgage on the new property would pay for the rest. That property would generate income that would at least partially cover the mortgage payments and maintenance. The interest on the investment property, any expenses incurred, and depreciation would be tax deductible.

Any cashflow shortfall could be deducted against other sources of income such as wages. The future goal is for the property to become positively geared or appreciate in value enough to cover the cost of the loans.

The proceeds of the loan could also be invested in the share market although this is a less popular and more risky approach because there are no tax deductions. In this case another loan would not be needed to invest although some investors choose to go down this path. The goal is for the returns earned in the share market – after transaction costs, fees and taxes – to exceed the interest on the loan.

Share market investments do earn income in the form of dividends and distributions. Depending upon prevailing interest rates it is possible that the investment income could cover the cost of the loan. Chances are it won’t. In that case capital appreciation is needed. The share market is notoriously volatile and long holding periods are important to overcome short-term volatility.

Given that the income earned from the share market investment will likely not exceed the cost of the loan it is important to have a source of cashflow that can cover the difference. Remember that the share market returns we often hear are index returns. That is not the return that an investor will receive.

Even if you buy and hold an index fund your return will be less than the index. The index fund will have fees. There will likely be transaction fees when the index fund is purchased and sold. Capital gains will be passed along as part of the distributions and when the investment is sold.

Many investors also underperform because of poor behaviour. Buying and selling at the wrong time take a toll on returns. Assume you will make some poor investment decisions because even the best investors make mistakes.

What is debt? Can it ever be good?

Central to the sales pitch for debt recycling is the concept that there is good debt and bad debt.

There are varying definitions of good debt and bad debt. One definition is that good debt is taking out a loan to purchase an asset that will help to build your long-term wealth while bad debt is taking out a loan to fuel consumption. Another definition is that good debt is tax deductable and bad debt is not tax deductible. To meet that threshold of tax deductibility the debt from your primary residence would have to be used to purchase an investment property.

There is a bit to unpack here. All debt is limiter of future options and a drain on future cash flows. It is an obligation that must be paid back. Tax deductibility may reduce the drain on future cash flows but it is not eliminated. The deduction is only applicable to the interest portion of the loan and not the principal. However, other deductions are available as previously mentioned. A mortgage is an amortising loan which means over time the portion of a mortgage payment going to principal will increase which reduces the amount of interest that is tax deductible.

The fact that debt limits future options and reduces future cash flows simply means careful consideration needs to be paid to the growth potential of the asset purchased and the amount of income generated going forward. This must be weighed against the cost of the debt or interest rate. Given the variable nature of interest rates and the unknown future returns of any asset several scenarios should be considered.

Taking out additional debt increases the risk to your finances. Proponents of debt recycling always focus on the positives. That equity in your primary residence is just sitting there and should be put to use. Fair enough. Just remember that debt may amplify your returns but it also amplifies your risk.

What return makes debt recycling worthwhile?

This seems like an obvious step. Yet I’m willing to bet a fair amount of people who pursue this strategy don’t bother to run the numbers. I constantly hear that the return earned on an investment purchased with debt recycling needs to simply exceed the interest rate paid on the loan. This isn’t even close to accurate.

In a theoretical world it is true that borrowing money at 5% and investing it at 8% is a profitable endeavour. Yet in the real world we have to worry about taxes and transaction costs. We also have to account for deductions received and the tax minimisation effect of any deductions. What matters in all investing is the return that accrues to the investor.

Transaction costs are an obvious component that reduce your returns. Just remember that if debt recycling is being used to purchase real estate the transaction and maintenance costs can be very high. People tend to focus on the purchase and sale price of property but fail to account for interest expenses and constant maintenance and upkeep costs. Not to mention high transaction costs when you buy or sell a property.

One of the biggest considerations for debt recycling is tax. This can be quite complicated and is influenced by marginal tax rates, where assets are held (in super or outside of super) and the deductibility of interest and expenses. In both taxes owed and the value of deductions the marginal tax rate matters.

If this is a strategy that you wish pursue it is critical to know exactly what return is needed to make it worthwhile financially given your personal circumstances. Model out different scenarios where interest rates and your marginal tax rate change. Build in a buffer.

If you are pursuing this strategy based on professional advice have the advice provider give you the exact returns needed under different scenarios. Take the time to understand how they have calculated the return. And don’t think that just because a lender is willing to give you money it is a good idea. Lenders only worry about your ability to pay back the loan. They don’t care if repaying the loan cripples your finances.

Should you care about your net worth?

As a society we are obsessed with net worth. That is why we measure financial milestones the way we do. We describe successful people based on the rung of the net worth ladder they reach. Millionaires, multi-millionaires, and a select few billionaires are the labels we associate with financial success.

Yet most of us live our lives in very different ways. What governs our day-to-day spending and less frequent splurges like trips is our cash flow. How much money is coming into our bank accounts and how much is going out.

The wealth effect is illusionary. We may feel more comfortable spending more if the long-term assets we hold increase in value, but should we? I’ve never spent much time worrying about my net worth. My focus has always been on cash flow and trying to keep my fixed obligations like housing low in comparison to my discretionary spending. This provides me with more safety as I can scale down discretionary spending when faced with the inevitable financial challenges life throws at everyone.

Debt repayments are a fixed obligation. Increasing fixed obligations through debt recycling to buy assets may be a good strategy to increase net worth. But does it increase financial security? Does it increase life satisfaction?

I have some qualms with some of the messaging in Bill Perkin’s book Die with Zero but I do agree with the central point. The measure of a life is our accumulated experiences. And while some experiences are free, most cost money. And those experiences come from the cash flow that supports discretionary spending. Increase the portion of your cash flow that is discretionary and you increase choice. Should I spend my discretionary cash flow on a weekend away? A nice dinner? A charitable donation? That is freedom.

This may seem like a fuzzy argument against debt recycling, but the philosophical underpinning of any financial strategy matters. If you are more focused on building your net worth, consider how and when those assets will be converted to cash that can be spent. And be realistic about the cash that is coming your way when you sell those assets. Transaction costs and taxes can take a large chunk out of your net worth on paper.

Are you giving up the main advantage of your primary residence?

It is probably obvious that I am not a fan of debt in any form. My goal is financial independence. Owing a pile of money to a bank is not independence regardless of the value of the assets you partially own by taking on that debt.

Owning a home does provide financial benefits. The first is forced savings. I don’t agree that renting is ‘throwing money away’. It is simply paying for an essential service. Something that all of us do every day. However, a portion of a mortgage payment goes to paying back principal which increases the equity in your home.

As previously mentioned, a mortgage is an amortising loan. The forced saving component of a mortgage increases over the years. Below is an example of an amortisation schedule for a 30-year loan for $500,000 at a 5% interest rate.

 Amortisation schedule


In the first year of the loan interest makes up approximately 77% of the total payments. It is not until the 17th year for half of a mortgage payment to be ‘forced savings’. This is just part and parcel of taking out a mortgage. The beauty of making additional payments on your mortgage is that you jump ahead on the amortisation schedule. More of your future payments will go towards principal and you will build equity in your home faster.

The problem with a debt recycling plan is that you are taking equity out of your home. In this case you are jumping backwards in your amortisation schedule on an aggregate basis. A higher component of the combined future payments to your original mortgage and the investment loan will go to interest than if the extra loan wasn’t taken out.

There are other consequences to this decision. In the 1950s and 1960s people threw parties to celebrate paying off their mortgage. Many people may scoff at that concept and consider it quaint. We like to think of ourselves as more financially sophisticated than our forbearers.

Yet families throwing mortgage parties knew something that too many people choose to ignore today. They knew the best part of homeownership from a financial standpoint is when a mortgage is paid off. They understood the benefit of staying in a single home for life and working their way down an amortisation schedule while avoiding the excessive transaction costs of climbing the rungs of the property ladder from starter to forever home.

(Calculated crystals, as found in the file)
'''
1.
# Sc11Cd9Ir4
Theoretical powder X-ray diffraction pattern, Cu Kα X-rays. Input: a GGA-PBE-relaxed structure.

Atomic structure:
```
data_Sc11Cd9Ir4
_chemical_formula_sum 'Sc22 Cd18 Ir8'
_cell_length_a 13.9403
_cell_length_b 20.8419
_cell_length_c 3.4267
_cell_angle_alpha 90.00
_cell_angle_beta 90.00
_cell_angle_gamma 90.00
_symmetry_space_group_name_H-M 'C m m m'
_symmetry_Int_Tables_number 65
_symmetry_space_group_name_Hall '-C 2 2'
loop_
_atom_site_label
_atom_site_type_symbol
_atom_site_fract_x
_atom_site_fract_y
_atom_site_fract_z
Sc1 Sc 0.0000 0.0000 0.0000
Sc2 Sc 0.0000 0.1599 0.0000
Sc3 Sc 0.0000 0.3625 0.0000
Sc4 Sc 0.2013 0.5000 0.0000
Sc5 Sc 0.2472 0.3340 0.0000
Cd1 Cd 0.0000 0.5000 0.5000
Cd2 Cd 0.1104 0.2547 0.5000
Cd3 Cd 0.1390 0.0743 0.5000
Ir1 Ir 0.1441 0.4018 0.5000
```

Peak list (12 most intense, 2θ = 15–90°, in order of rising 2θ)
| 2θ (°) | I/Imax | h k l |
| --- | --- | --- |
| 25.60 | 35 | 4 0 0 |
| 26.00 | 30 | 0 0 1 |
| 33.85 | 7 | 2 4 1 |
| 35.01 | 8 | 3 3 1 |
| 36.52 | 53 | 4 6 0 |
| 36.81 | 100 | 0 6 1 |
| 39.16 | 14 | 3 5 1 |
| 45.38 | 21 | 4 6 1 |
| 53.48 | 12 | 0 0 2 |
| 60.21 | 7 | 4 0 2 |
| 65.87 | 7 | 8 6 1 |
| 66.50 | 17 | 4 6 2 |

---

2.
# Sc3Si4Ni11
Theoretical powder X-ray diffraction pattern, Cu Kα X-rays. Input: a GGA-PBE-relaxed structure.

Atomic structure:
```
data_Sc3Si4Ni11
_chemical_formula_sum 'Sc6 Si8 Ni22'
_cell_length_a 7.9477
_cell_length_b 7.9477
_cell_length_c 8.3397
_cell_angle_alpha 90.00
_cell_angle_beta 90.00
_cell_angle_gamma 120.00
_symmetry_space_group_name_H-M 'P 63/m m c'
_symmetry_Int_Tables_number 194
_symmetry_space_group_name_Hall '-P 6c 2c'
loop_
_atom_site_label
_atom_site_type_symbol
_atom_site_fract_x
_atom_site_fract_y
_atom_site_fract_z
Sc1 Sc 0.1975 0.3950 0.2500
Si1 Si 0.0000 0.0000 0.2500
Si2 Si 0.0000 0.5000 0.0000
Ni1 Ni 0.1221 0.5610 0.7500
Ni2 Ni 0.1526 0.3053 0.5929
Ni3 Ni 0.3333 0.6667 0.0030
```

Peak list (12 most intense, 2θ = 15–90°, in order of rising 2θ)
| 2θ (°) | I/Imax | h k l |
| --- | --- | --- |
| 16.70 | 36 | 1 0 1 |
| 33.77 | 13 | 2 0 2 |
| 40.82 | 84 | 3 0 1 |
| 41.77 | 100 | 2 0 3 |
| 45.45 | 18 | 1 0 4 |
| 45.66 | 80 | 2 2 0 |
| 47.89 | 40 | 2 1 3 |
| 50.91 | 19 | 2 2 2 |
| 51.23 | 12 | 2 0 4 |
| 52.74 | 18 | 3 1 2 |
| 75.53 | 17 | 3 2 4 |
| 81.74 | 17 | 4 2 3 |

---

3.
# Y2NpS3
Theoretical powder X-ray diffraction pattern, Cu Kα X-rays. Input: a GGA-PBE-relaxed structure.

Atomic structure:
```
data_Y2NpS3
_chemical_formula_sum 'Y4 Np2 S6'
_cell_length_a 3.9092
_cell_length_b 3.9092
_cell_length_c 16.6774
_cell_angle_alpha 90.00
_cell_angle_beta 90.00
_cell_angle_gamma 90.00
_symmetry_space_group_name_H-M 'I 4/m m m'
_symmetry_Int_Tables_number 139
_symmetry_space_group_name_Hall '-I 4 2'
loop_
_atom_site_label
_atom_site_type_symbol
_atom_site_fract_x
_atom_site_fract_y
_atom_site_fract_z
Y1 Y 0.0000 0.0000 0.1644
Np1 Np 0.0000 0.0000 0.5000
S1 S 0.0000 0.0000 0.0000
S2 S 0.0000 0.0000 0.3311
```
'''

Were our forebearers more financially enlightened? Of course not. They borrowed less because regulations prevented taking loans of the size that are routinely handed out today. They didn’t need to climb the property ladder because they could afford a ‘forever’ home early in their working lives. Our greater access to credit today doesn’t change the fact that paying off a mortgage is a huge benefit to household finances.

If paying off a mortgage is so beneficial than why make it harder by taking equity out of a home? It is certainly something to consider.

My thoughts

I cannot think of any scenario where I would ever use debt recycling. That is just me. It doesn’t mean anyone should follow this approach. I have a natural aversion to debt. I see it as a limiter of flexibility given the extra obligation against my future earnings.

As a society we have gotten far too comfortable with levels of debt that earlier generations would see as wildly excessive. Higher personal debt levels do stem from higher house prices. I sympathise with people forced to take on too much debt to afford a home. I think we would be better off as a society if housing prices went down. But this article is not about buying a home. It is about voluntarily taking on more debt to grow personal wealth.

The two friends I mentioned at the beginning of the article are reassessing their own debt levels and what brings them happiness. I don’t know what decision they will ultimately make. What I do know is that they are dreamers and want so many things from life. It is inspiring to listen to their visions for the future. It is that context we need to bring to our financial decisions. They should be based on what brings us joy and fulfilment in life.

I will admit that my aversion to debt borders on irrational. Yet it is consistent with my underlying financial philosophy. My view of financial success is to maximise my discretionary spending. That involves increasing the cash flow from my salary and investment income. It also involves keeping my spending on ‘needs’ as low as possible to provide more money for the things I enjoy. That is how I maximise the enjoyment in life.